Please find the line further down that holds "20.90496", then duplicate that line and all lines after it there.

- - -
[1]
Formula: C33H82F3O34S10V
Source: the Open Molecules 2025 dataset
Level of theory: wB97M-V/def2-TZVPD

Cartesian coordinates (Å):
V  17.25955  -10.01679  18.65938
C  18.23323  -12.96766  21.21708
C  18.99273  -12.23398  20.09380
O  18.03393  -11.75080  19.15947
H  18.95602  -13.14827  22.02259
H  17.87431  -13.93279  20.79130
H  17.35822  -12.41125  21.52428
H  19.72330  -12.85883  19.63473
H  19.65798  -11.39188  20.37863
S  16.77153  -7.58084  19.70777
O  17.88985  -6.58085  19.56676
O  16.33976  -7.99298  18.39524
O  17.29038  -8.76539  20.39006
O  15.60600  -7.06937  20.47845
C  21.07729  -8.84534  22.07750
C  20.29613  -8.69166  20.77897
O  21.05360  -9.33238  19.64571
C  20.55452  -9.45011  18.50805
O  19.35180  -9.37194  18.24588
C  21.55518  -10.08299  17.51896
F  21.84649  -11.33997  17.85750
F  20.98857  -10.18742  16.30574
F  22.67516  -9.39030  17.39144
H  22.10313  -8.54192  21.81748
H  20.96470  -9.80464  22.60940
H  20.81698  -8.05459  22.80093
H  20.14509  -7.64700  20.52501
H  19.31083  -9.18590  20.90496
O  20.14296  -2.33377  17.08119
S  19.95370  -3.34802  18.09577
O  20.94242  -3.61409  19.10241
O  18.54691  -3.07434  18.77424
C  18.29748  -3.55942  20.14878
C  16.79944  -3.49112  20.32757
C  19.46626  -4.79233  17.28468
H  18.83798  -2.83838  20.82181
H  18.79164  -4.47495  20.23378
H  16.42421  -3.82515  21.31105
H  16.24062  -3.92475  19.47543
H  16.65823  -2.42748  20.32354
H  19.04132  -5.45466  18.12983
H  20.31375  -5.23361  16.69158
H  18.65345  -4.58378  16.55290
O  13.20646  -11.36373  17.92806
S  14.01562  -10.23856  18.31672
O  15.22383  -10.60941  19.03714
O  14.43622  -9.58379  16.94214
C  13.49861  -9.55030  15.87117
C  14.31433  -9.77244  14.56202
C  13.09698  -8.92622  19.13146
H  12.97699  -8.58845  15.90790
H  12.82235  -10.36828  16.03965
H  13.66904  -9.87358  13.73289
H  14.76929  -10.72494  14.81635
H  15.08051  -8.95550  14.36248
H  12.68588  -9.25569  20.09622
H  12.25350  -8.66967  18.46973
H  13.81825  -8.05931  19.30648
O  18.21803  -9.12972  25.11941
S  16.90889  -9.39791  24.55554
O  15.85074  -9.72627  25.42839
O  16.39208  -8.12195  23.77927
C  17.32947  -6.99888  23.38053
C  17.10797  -5.77758  24.29786
C  17.02451  -10.49960  23.16265
H  17.13113  -6.72405  22.29715
H  18.37999  -7.40094  23.36650
H  17.68918  -4.96556  23.83590
H  17.72645  -6.04384  25.17219
H  16.10034  -5.49248  24.37602
H  16.05503  -10.45675  22.67943
H  17.11718  -11.45663  23.71129
H  17.82850  -10.36872  22.44045
O  17.19191  -5.44890  14.39255
S  17.62359  -6.75390  14.00511
O  16.85905  -7.34278  12.96834
O  19.15931  -6.68053  13.67648
C  19.89071  -7.65037  12.93855
C  21.39287  -7.42342  13.24445
C  17.52103  -7.78192  15.39390
H  19.64455  -7.57004  11.88926
H  19.64562  -8.64940  13.34996
H  21.47311  -7.14203  14.28767
H  21.71232  -6.56603  12.70680
H  21.92601  -8.32978  13.09830
H  17.95737  -8.71168  15.02652
H  16.46099  -7.84286  15.53032
H  18.06527  -7.42588  16.27581
O  11.77267  -9.05252  22.13265
S  11.83428  -7.71530  22.66477
O  11.00356  -6.68804  22.14211
O  11.32977  -7.92655  24.14365
C  11.31935  -6.80222  25.04033
C  10.75873  -7.32040  26.36239
C  13.64834  -7.29829  22.62412
H  10.67178  -5.98788  24.73868
H  12.36021  -6.38399  25.19455
H  10.64311  -6.38964  27.02255
H  11.31915  -8.13125  26.84489
H  9.72960  -7.62475  26.12447
H  13.89890  -7.32751  21.56152
H  14.15837  -8.09097  23.07837
H  13.84007  -6.33061  23.06787
O  13.50541  -2.94449  18.50558
S  12.93480  -3.28021  19.81679
O  13.47605  -2.59001  20.94020
O  11.45626  -2.87856  19.81681
C  10.62963  -3.61976  18.92276
C  9.39104  -2.83460  18.62371
C  12.94559  -5.01706  20.07226
H  10.38130  -4.59724  19.40644
H  11.17595  -4.01300  18.02054
H  9.60260  -1.82708  18.33300
H  8.81754  -2.79329  19.53511
H  8.94501  -3.50155  17.91121
H  12.37049  -5.27805  21.00148
H  13.99151  -5.30853  20.27832
H  12.57987  -5.41007  19.16534
O  14.77253  -3.10720  28.39071
S  14.30106  -4.28600  27.70764
- - -

H  19.31083  -9.18590  20.90496
O  20.14296  -2.33377  17.08119
S  19.95370  -3.34802  18.09577
O  20.94242  -3.61409  19.10241
O  18.54691  -3.07434  18.77424
C  18.29748  -3.55942  20.14878
C  16.79944  -3.49112  20.32757
C  19.46626  -4.79233  17.28468
H  18.83798  -2.83838  20.82181
H  18.79164  -4.47495  20.23378
H  16.42421  -3.82515  21.31105
H  16.24062  -3.92475  19.47543
H  16.65823  -2.42748  20.32354
H  19.04132  -5.45466  18.12983
H  20.31375  -5.23361  16.69158
H  18.65345  -4.58378  16.55290
O  13.20646  -11.36373  17.92806
S  14.01562  -10.23856  18.31672
O  15.22383  -10.60941  19.03714
O  14.43622  -9.58379  16.94214
C  13.49861  -9.55030  15.87117
C  14.31433  -9.77244  14.56202
C  13.09698  -8.92622  19.13146
H  12.97699  -8.58845  15.90790
H  12.82235  -10.36828  16.03965
H  13.66904  -9.87358  13.73289
H  14.76929  -10.72494  14.81635
H  15.08051  -8.95550  14.36248
H  12.68588  -9.25569  20.09622
H  12.25350  -8.66967  18.46973
H  13.81825  -8.05931  19.30648
O  18.21803  -9.12972  25.11941
S  16.90889  -9.39791  24.55554
O  15.85074  -9.72627  25.42839
O  16.39208  -8.12195  23.77927
C  17.32947  -6.99888  23.38053
C  17.10797  -5.77758  24.29786
C  17.02451  -10.49960  23.16265
H  17.13113  -6.72405  22.29715
H  18.37999  -7.40094  23.36650
H  17.68918  -4.96556  23.83590
H  17.72645  -6.04384  25.17219
H  16.10034  -5.49248  24.37602
H  16.05503  -10.45675  22.67943
H  17.11718  -11.45663  23.71129
H  17.82850  -10.36872  22.44045
O  17.19191  -5.44890  14.39255
S  17.62359  -6.75390  14.00511
O  16.85905  -7.34278  12.96834
O  19.15931  -6.68053  13.67648
C  19.89071  -7.65037  12.93855
C  21.39287  -7.42342  13.24445
C  17.52103  -7.78192  15.39390
H  19.64455  -7.57004  11.88926
H  19.64562  -8.64940  13.34996
H  21.47311  -7.14203  14.28767
H  21.71232  -6.56603  12.70680
H  21.92601  -8.32978  13.09830
H  17.95737  -8.71168  15.02652
H  16.46099  -7.84286  15.53032
H  18.06527  -7.42588  16.27581
O  11.77267  -9.05252  22.13265
S  11.83428  -7.71530  22.66477
O  11.00356  -6.68804  22.14211
O  11.32977  -7.92655  24.14365
C  11.31935  -6.80222  25.04033
C  10.75873  -7.32040  26.36239
C  13.64834  -7.29829  22.62412
H  10.67178  -5.98788  24.73868
H  12.36021  -6.38399  25.19455
H  10.64311  -6.38964  27.02255
H  11.31915  -8.13125  26.84489
H  9.72960  -7.62475  26.12447
H  13.89890  -7.32751  21.56152
H  14.15837  -8.09097  23.07837
H  13.84007  -6.33061  23.06787
O  13.50541  -2.94449  18.50558
S  12.93480  -3.28021  19.81679
O  13.47605  -2.59001  20.94020
O  11.45626  -2.87856  19.81681
C  10.62963  -3.61976  18.92276
C  9.39104  -2.83460  18.62371
C  12.94559  -5.01706  20.07226
H  10.38130  -4.59724  19.40644
H  11.17595  -4.01300  18.02054
H  9.60260  -1.82708  18.33300
H  8.81754  -2.79329  19.53511
H  8.94501  -3.50155  17.91121
H  12.37049  -5.27805  21.00148
H  13.99151  -5.30853  20.27832
H  12.57987  -5.41007  19.16534
O  14.77253  -3.10720  28.39071
S  14.30106  -4.28600  27.70764